Happy Crabby ADHD Lady

Happy Crabby ADHD Lady

Owner of My ADHD binder and here to help you be more happy, more crabby, and more (good parts) ADHD.


Credit to the creator, listed at the bottom.


I was in the bathroom and a scrap of TP was laying on the floor. I was there anyway so I moved it from the floor to the trash can. Little micro clean ups like this was something I had to learn to cope with. Doing that does not mean I have to now clean the whole bathroom or get upset that someone would leave that there or even empty the trash if it is a bit full. I’m going to wash my hair now without the guilt or pressure that because I picked up that tiny scrap of TP I have to keep going.


Today I did my best to flow. My bun was lopsided and messy when I got up. I looked at myself and said that’s cute and left the house.
I’m proud of myself.


Brain: Alright, time to go to bed.
*starts to inspect patch of dry skin*
Brain: Why are you doing that? Lay down.
*scratch scratch*
Brain: That is not good for you for one, two, lay down.
*looks at foot*
Brain: LAY DOWN... Where did I leave the toe nail clippers?
*goes to look*


If my willpower is my rider and my subconscious is the horse I'm on, ADHD is why I traded my riding crop for a tambourine.


ADHD makes it difficult in general to get tings done, even harder to get the not fun functional tasks done and almost impossible to process that we are doing a task we feel we are expected to do but it really does nothing to help us. Here is an example: You need to wash your dirty dishes before they mold and attract bugs but you may want to sort out the coffee mugs that are hard to wash and display them for non use / donate them. You may feel you should let them dry and put them away but if you function just fine using them straight out of the drying rack than move that to your should list and tackle it last!


ADHD is refusing to empty a not "full" trashcan but the fuller it gets the more it just becomes a complex game of trash Tetris.


I love hermit crabs! I was a speaker at Crab Con and I work with LHCOS on content creation. That is why I made this hermit crab printable planner so your friends can be in your ADHD Binder too.


Had a random urge to fix this:
It's like rain on your wedding day (when you planned your wedding the least rainy time of year.)
It's a free ride when you've already paid (for another because you thought the first would be too expensive.)
It's the good advice that you just didn't take (because it was presented as bad.)
And who would've thought? It figures
A traffic jam when (you took the way with less traffic because) you're already late
A "No Smoking" sign on your cigarette break (that you waited to take somewhere where it was allowed)
It's like ten thousand spoons (at a knife store who is out of knives) when all you need is a knife
It's meeting the man of my dreams
And then meeting his beautiful wife (who you know from a friend, had in the past swore to everyone she would never Mary anyone who is your type.)


Habits are hard for us with ADHD to build and even harder for us to keep up with. Often times we hyperfocus on bettering ourselves only to over do it and fall back into old ways when the tasks start to feel normal. I made this page to help you make one small change a month and track how you keep up with it as you start new ones. That way you are not drinking extra water one month but letting that fade as you empty your email inbox every day next month. Enjoy your year of growth and consider making your first habit looking at your new tracker every day!


Gym memberships might just be the least ADHD friendly thing in the world.


I own one of these and I have never used it. I am also not sure where it is.


Me off to finish my summer projects before it gets to cold out.


This is a complete summery of me avoiding work, pulling it off last minute and then harping on a small mistake making everything worse. 👍


I found the pen I've been looking for, it was holding a place in some papers! Sheesh.


Tomorrow's drop is another worksheet. This one is on holdups. What is a holdup? A holdup is something that puts the breaks on a task that needs to get done. We often just glaze over holdups. Maybe your frustrated you don't brush your teeth but you hate your toothpaste and never thought to just replace it? You forget to cook something because you put it on the top shelf, and so on. Help yourself see hidden holdups with this easy worksheet.

********
[1]
Formula: H2N2O2S
Source: the OMol25 dataset
Level of theory: ωB97M-V/def2-TZVPD

```
7
Properties=species:S:1:pos:R:3:nbo_charge:R:1
H -1.03226 -1.82847 -0.89760 0.383
N -0.32276 -1.08169 -0.57916 -0.476
N -0.69684 0.08242 -0.37872 0.557
O -1.75666 0.61086 -0.32296 -0.345
O 0.41570 1.08986 -0.00114 -0.609
S 1.89804 0.83986 0.48444 0.407
H 1.49479 0.28715 1.69515 0.084
```

Its SMILES is [H]/N=[N+](\[O-])OS. The total energy comes out at -17937.50760 eV. The HOMO-LUMO gap is 9.566 eV. Its strongest force on any atom is 3.282 eV Å⁻¹. The spin multiplicity is 1. For the LUMO energy, the calculation gives 0.004 Ha. Its HOMO energy is -0.348 Eh.

***

[2]
Formula: C7H14
Source: the OMol25 dataset
Level of theory: ωB97M-V/def2-TZVPD

```
21
Properties=species:S:1:pos:R:3:nbo_charge:R:1
C -1.65500 0.47070 1.31567 -0.645
C -1.13539 -0.58276 0.15516 -0.390
C 0.36031 -0.68301 -0.25677 -0.063
C 1.20721 -1.79880 0.37459 -0.601
C 0.84381 -0.27933 -1.63465 -0.411
C 1.04190 0.67463 -0.50761 -0.219
C 0.15374 1.89262 -0.40021 -0.639
H -2.60574 0.03884 1.60043 0.211
H -0.97856 0.48289 2.18259 0.212
H -1.93077 1.54987 1.20172 0.216
H -1.42542 -1.55285 0.59021 0.216
H -1.75249 -0.43971 -0.74536 0.209
H 1.20649 -2.73825 -0.20427 0.207
H 0.87950 -2.04566 1.39079 0.208
H 2.25638 -1.47966 0.43763 0.208
H 1.73259 -0.78665 -2.00925 0.214
H 0.12112 -0.01673 -2.40429 0.209
H 2.03344 0.76573 -0.07425 0.209
H 0.61897 2.74512 0.10183 0.213
H -0.65917 1.57712 0.22740 0.235
H -0.31292 2.20589 -1.34137 0.202
```

Its SMILES is CC[C@@]1(C)C[C@H]1C. The total energy comes out at -7484.19050 eV. The HOMO-LUMO gap is 10.386 eV. Its strongest force on any atom is 1.302 eV Å⁻¹. The spin multiplicity is 1. For the LUMO energy, the calculation gives 0.041 Ha. Its HOMO energy is -0.341 Eh.

***

[3]
Formula: C25H32IrN4OS
Source: the OMol25 dataset
Level of theory: ωB97M-V/def2-TZVPD

```
64
Properties=species:S:1:pos:R:3:nbo_charge:R:1
Ir 0.04070 0.34908 -0.39888 1.375
C 0.08011 -2.71600 0.07110 -0.253
C 1.09753 -2.13254 1.02024 -0.251
N 1.76387 -0.98854 0.36980 -0.597
C 2.62981 -0.21637 1.26953 -0.278
C 1.81154 0.77663 2.04454 0.223
C 2.30833 1.52126 3.09692 -0.211
C 1.46214 2.41512 3.74048 -0.064
C 0.13291 2.51347 3.34884 -0.211
C -0.30564 1.74323 2.28962 0.222
C -1.71734 1.76777 1.77748 -0.279
N -1.90885 0.70527 0.78275 -0.591
C -2.22020 -0.61153 1.37082 -0.252
C -2.20328 -1.64234 0.27211 -0.250
N -0.88673 -1.69382 -0.41517 -0.576
N 0.53956 0.92452 1.64802 -0.431
H -0.44114 -3.54279 0.55579 0.256
H 0.60038 -3.12758 -0.79528 0.239
H 1.81778 -2.91154 1.28444 0.260
H 0.62933 -1.78992 1.94289 0.218
H 2.32054 -1.33482 -0.40968 0.430
H 3.37400 0.32064 0.67850 0.265
H 3.16896 -0.87096 1.95989 0.256
H 3.34068 1.41565 3.40318 0.272
H 1.83409 3.02624 4.55252 0.274
H -0.54875 3.18471 3.85424 0.271
H -1.91757 2.73512 1.31327 0.265
H -2.41135 1.64545 2.61380 0.255
H -2.66231 0.97088 0.14625 0.447
H -3.20482 -0.61140 1.84577 0.259
H -1.47758 -0.83494 2.13681 0.217
********
The article goes on:


Bonus drop! The blank 365 day page I have always wanted but was never able to find. Track whatever you want, start whenever you want.


I just posted a non work week version of the planner page everyone asks me about.


Hack: Impulse buy on Kickstarter so the boost from waiting on the thing lasts months with email updates.

Inserted here: molecular data:
Density functional theory data (wB97M-V/def2-TZVPD) for a 11-piece molecular cluster, C60H149N11O14 overall in a non-equilibrium geometry.

XYZ file:
```
234
Properties=species:S:1:pos:R:3:forces:R:3
C -9.29585 12.22425 -7.63939 1.0924 -0.7946 -0.2710
C -9.79684 13.50884 -7.07066 -1.5499 1.0694 -0.0526
C -11.34792 13.55014 -7.42710 0.6742 0.6173 1.6082
C -12.08583 14.62147 -6.58498 0.5863 -0.3867 -1.4707
C -11.88126 14.37787 -5.10458 -1.1592 -0.5371 -1.2766
C -10.40127 14.39565 -4.70624 -2.0636 0.9709 0.7704
N -9.68423 13.46642 -5.58007 -1.2958 -0.8182 0.1808
O -8.39853 13.22686 -5.09004 1.0151 1.5422 -0.8436
C -9.98685 15.90163 -4.71365 1.1751 -1.6707 1.1438
C -10.42650 13.82354 -3.24610 0.8697 -0.8338 -0.4792
C -9.13174 14.74929 -7.73803 0.7947 -0.3144 0.1039
H -9.87459 11.34630 -7.35241 -0.2837 0.1197 0.2322
H -8.27434 12.01756 -7.32019 0.1704 0.0599 -0.0122
H -9.29349 12.25107 -8.72907 -0.0852 0.0884 -0.0625
H -11.52991 13.69641 -8.49180 0.3545 -0.0005 -0.0681
H -11.76075 12.58374 -7.13771 -0.0774 -0.1552 -0.0517
H -13.11358 14.61687 -6.94803 -0.3834 -0.1263 0.5707
H -11.74498 15.61656 -6.87081 0.2552 0.1580 0.0333
H -12.33125 13.40817 -4.89174 0.1126 -0.3042 0.1896
H -12.54853 15.08722 -4.61503 0.6105 0.2299 0.6767
H -10.56255 16.39875 -3.93292 -0.4866 0.3423 -0.5759
H -9.00466 15.86722 -4.24224 0.5599 0.4586 -0.5329
H -9.96191 16.33834 -5.71202 -0.1535 0.1947 0.3911
H -11.19341 14.11946 -2.53030 -0.0846 0.9730 -0.4535
H -10.65052 12.76038 -3.33336 0.1963 -0.3081 -0.2403
H -9.45103 13.88129 -2.76314 0.0481 0.1839 0.0411
H -8.59060 14.53718 -8.66014 -0.2771 -0.5157 -0.2381
H -8.32017 15.11936 -7.11152 -0.2511 0.3050 0.3200
H -9.83815 15.53539 -8.00475 0.0044 0.0758 0.3898
H -8.36659 12.40560 -4.59393 -0.2979 -0.9099 0.0952
C -11.08063 1.97805 -2.48696 -0.0916 -0.1911 0.0643
C -11.69551 2.85388 -1.35082 0.5242 -0.4939 -0.7045
C -11.13148 2.36431 0.04923 -1.2374 0.3619 -0.1127
C -11.30856 3.39429 1.17040 -0.2262 -0.3674 -0.3215
C -10.64048 4.71520 0.78410 -0.1678 -2.0543 1.0307
C -11.21406 5.24831 -0.50565 0.8192 -0.0175 0.1889
N -11.29722 4.20848 -1.57857 2.7536 1.7005 1.6539
O -11.42224 4.75800 -2.86333 -1.2789 -0.0083 0.3698
C -12.55087 5.86224 -0.22452 -0.6562 0.2754 -1.0307
C -10.23897 6.37494 -0.80183 -0.0543 0.7499 -1.6267
C -13.22753 2.75819 -1.46283 -0.3084 -0.5873 0.2343
H -10.01735 2.14021 -2.66371 0.0135 0.2998 0.3419
H -11.56604 2.15337 -3.44703 -0.1770 0.2134 0.0163
H -11.18668 0.90935 -2.30059 -0.2181 -0.0541 0.3247
H -11.75661 1.50753 0.30064 0.0879 -0.2982 -0.0063
H -10.09624 2.02639 0.09593 0.1176 0.1049 -0.8247
H -10.95909 2.96545 2.10959 0.4252 0.0992 0.0153
H -12.37723 3.50213 1.35594 -0.1889 0.4371 -0.1152
H -9.56592 4.55868 0.68964 0.1450 -0.2006 -0.1705
H -10.74594 5.40100 1.62473 -0.2338 0.4167 -0.2959
H -12.83119 6.32062 -1.17289 -0.4605 0.2397 -0.0421
H -13.30802 5.10753 -0.01184 0.0371 0.2500 0.3708
H -12.49636 6.65700 0.51945 -0.1468 -0.2024 0.1248
H -10.17227 7.06680 0.03781 -0.0792 -0.1126 0.0843


It is really "A jack of all trades is a master of none, but oftentimes better than a master of one."

____________
(1)
Molecular formula: C23H64O37S7
Method: DFT, wB97M-V/def2-TZVPD

The geometry in ORCA input format:
```
! wB97M-V def2-TZVPD RIJCOSX def2/J DEFGRID3
* xyz 0 1
C 7.042 -2.146 -0.277
O 7.020 -1.696 -1.625
H 6.857 -3.179 -0.160
H 7.961 -1.880 0.217
H 6.184 -1.662 0.253
H 6.682 -2.308 -2.226
C 3.806 4.649 -0.504
O 3.209 3.415 -0.219
H 3.243 5.236 -1.204
H 4.129 5.293 0.301
H 4.718 4.362 -1.053
H 3.228 3.060 0.682
C -3.257 3.609 0.741
O -2.287 2.611 0.865
H -3.152 4.136 -0.166
H -4.250 3.138 0.707
H -3.217 4.369 1.544
H -1.469 3.018 0.446
C 2.733 3.398 3.774
O 3.006 2.591 2.628
H 2.412 4.389 3.417
H 2.083 2.970 4.519
H 3.752 3.586 4.276
H 2.639 1.696 2.844
C 4.587 1.283 -1.768
O 5.168 0.398 -2.658
H 5.189 2.156 -1.529
H 3.617 1.629 -2.070
H 4.408 0.769 -0.757
H 5.881 -0.142 -2.357
C -0.646 5.849 -0.115
O -0.671 4.485 -0.418
H -0.414 6.532 -0.887
H -1.599 6.051 0.307
H 0.039 6.059 0.755
H 0.138 4.235 -0.858
C 2.060 -0.216 -5.060
O 2.550 -0.178 -3.720
H 1.964 0.861 -5.340
H 2.757 -0.715 -5.727
H 1.064 -0.712 -5.067
H 3.524 0.105 -3.593
C -0.600 0.780 3.644
O 0.694 0.301 3.503
H -0.779 1.685 3.030
H -1.323 0.051 3.239
H -0.888 0.937 4.731
H 0.907 -0.622 3.665
C 1.052 1.255 0.503
O 0.907 1.394 -0.898
H 2.041 0.893 0.825
H 0.881 2.215 1.006
H 0.382 0.555 0.909
H 1.563 2.106 -1.088
C -4.730 0.310 2.160
C -4.307 -0.154 0.771
O -5.190 -1.265 0.514
S -6.597 -1.199 1.366
O -6.542 -2.438 2.029
O -7.785 -0.961 0.584
O -6.176 0.153 2.148
H -4.638 1.322 2.447
H -4.283 -0.415 2.854
H -3.250 -0.562 0.789
H -4.422 0.511 -0.087
C 1.428 -4.570 3.145
C 1.788 -5.058 1.723
O 2.560 -3.947 1.115
S 3.264 -3.128 2.223
O 3.057 -1.793 1.880
O 4.650 -3.457 2.391
O 2.431 -3.583 3.466
H 1.615 -5.260 3.884
H 0.472 -4.099 3.252
H 0.893 -5.076 1.064
H 2.384 -5.995 1.674
C -3.197 -4.372 -0.674
C -2.721 -2.925 -0.694
O -2.391 -2.692 0.656
S -2.795 -3.874 1.671
O -3.686 -3.418 2.711
O -1.645 -4.685 1.907
O -3.687 -4.655 0.658
H -2.384 -5.014 -0.888
H -4.019 -4.617 -1.332
H -3.415 -2.116 -0.837
H -1.875 -2.788 -1.369
C -1.902 5.377 -5.014
C -2.273 3.928 -5.444
O -1.354 3.100 -4.678
S 0.001 3.804 -4.419
O 0.986 3.572 -5.407
O 0.517 3.527 -3.100
O -0.588 5.305 -4.457
H -2.658 5.729 -4.264
H -1.767 6.125 -5.873
H -2.096 3.878 -6.582
H -3.290 3.632 -5.205
C -2.543 -4.001 6.049
C -3.178 -2.678 5.652
O -2.243 -1.692 6.049
S -0.748 -2.326 5.971
O 0.121 -1.630 6.857
O -0.305 -2.353 4.597
O -1.141 -3.783 6.385
H -2.470 -4.787 5.290
H -3.000 -4.503 6.875
H -4.086 -2.494 6.185
H -3.300 -2.682 4.597
C 2.760 -2.394 -1.858
C 1.615 -1.728 -1.254
O 0.540 -2.695 -1.326
S 0.754 -3.852 -2.370
O -0.321 -3.787 -3.280
O 1.085 -5.027 -1.605
O 2.124 -3.274 -2.954
H 3.310 -3.007 -1.114
H 3.399 -1.721 -2.417
H 1.317 -0.872 -1.809
H 1.908 -1.462 -0.248
C -1.776 0.600 -2.145
C -0.978 0.168 -3.338
O -1.958 0.109 -4.458
S -3.439 0.275 -3.969
O -4.254 -0.853 -4.416
O -3.892 1.595 -4.238
O -3.068 -0.006 -2.447
H -1.929 1.735 -2.080
H -1.497 0.304 -1.133
H -0.518 -0.802 -3.072
H -0.197 0.812 -3.716
*
```

Properties
____________


Let’s see. Any kind of fine dust anywhere on my skin, clutter in general, socks without shoes, earwax, that one owl city song. Sorry owl city, you seem cool otherwise.


New Dopamine Hits Log coming tomorrow! Not everything that makes us happy is created equal. Track the value, productivity, time of a task and more and compare them to others!


Hi, I'm new to selling planner pages but not making them or using them!